Activity.
Say how many lines of the calculation results underneath hold the word "O1", as a bare number.

Material.
-- begin --
The following is a DFT calculation (PBE+U) of an optimized crystal structure of LiNbCo2O.

## Properties
energy	-4.15	eV per atom

The structure in CIF format:
```
data_LiNbCo2O
_cell_length_a 3.706
_cell_length_b 3.706
_cell_length_c 4.904
_cell_angle_alpha 90.00
_cell_angle_beta 90.00
_cell_angle_gamma 90.00
_symmetry_space_group_name_H-M 'P 1'
_symmetry_Int_Tables_number 1
_symmetry_space_group_name_Hall 'P 1'
loop_
_atom_site_label
_atom_site_fract_x
_atom_site_fract_y
_atom_site_fract_z
Li1 0.000 0.000 0.000
Nb1 0.000 0.000 0.500
Co1 0.000 0.500 0.000
Co2 0.500 0.000 0.000
O1 0.500 0.500 0.500
```
-- stop --

Completed.
1